• Exercise:
Type out all of the material below word for word.
• Listing:
~~~
This record from the Alexandria database describes SiNi2PtO6 after structural relaxation. The functional is GGA+U.

The structure in extended XYZ format:
```
10
Lattice="5.197 0.000 0.000 0.000 5.197 0.000 0.000 0.000 4.264" Properties=species:S:1:pos:R:3 pbc="T T T"
Si 0.000 0.000 0.000
Ni 0.000 2.599 1.557
Ni 2.599 0.000 1.557
Pt 2.599 2.599 0.258
O 0.000 0.000 2.666
O 1.194 1.194 0.604
O 1.194 4.003 0.604
O 2.599 2.599 2.439
O 4.003 1.194 0.604
O 4.003 4.003 0.604
```

Computed properties:
The total DFT energy (no corrections) is -5.464 eV per atom. The space group is No. 99.

* * * * *

Run w
This record from Alexandria describes a geometry-optimized NdPu2Si2 structure. The functional is PBE.

a = 5.4672 Å, b = 3.5714 Å, c = 11.8575 Å
α = 90.00°, β = 103.07°, γ = 90.00°
With the nearest neighbours (Å) after each atom.
Fractional positions:
Nd 0.0057 0.2500 0.2605  6 Si 2.99-3.33
Nd 0.9943 0.7500 0.7395  6 Si 2.99-3.33
Pu 0.3706 0.7500 0.5096  2 Pu 2.32
Pu 0.4522 0.7500 0.0544  2 Pu 2.33
Pu 0.5478 0.2500 0.9456  2 Pu 2.33
Pu 0.6294 0.2500 0.4904  2 Pu 2.32
Si 0.0594 0.2500 0.9469  2 Si 2.36
Si 0.4857 0.2500 0.7041  4 Pu 2.81-2.87
Si 0.5143 0.7500 0.2959  4 Pu 2.81-2.87
Si 0.9406 0.7500 0.0531  2 Si 2.36

Run x
This record from Alexandria describes a geometry-optimized NdPu2Si2 structure. The functional is PBE.

a = 6.9602 Å, b = 6.9602 Å, c = 8.1849 Å
α = 90.00°, β = 90.00°, γ = 142.66°
With the nearest neighbours (Å) after each atom.
Fractional positions:
Nd 0.0825 0.9175 0.5000  6 Si 3.18-3.38, 2 Pu 3.52-3.56
Nd 0.9175 0.0825 0.0000  6 Si 3.18-3.38, 2 Pu 3.52-3.56
Pu 0.1799 0.8201 0.1001  5 Si 2.81-3.02, 2 Pu 2.89
Pu 0.3531 0.6469 0.3815  4 Si 2.87-2.96, 2 Pu 2.89
Pu 0.6469 0.3531 0.8815  4 Si 2.87-2.96, 2 Pu 2.89
Pu 0.8201 0.1799 0.6001  5 Si 2.81-3.02, 2 Pu 2.89
Si 0.2858 0.7142 0.8012  1 Si 2.47
Si 0.4617 0.5383 0.6978  1 Si 2.47
Si 0.5383 0.4617 0.1978  1 Si 2.47
Si 0.7142 0.2858 0.3012  1 Si 2.47

Verdict on stability: run x comes out on top.

Run w
This record from Alexandria describes a geometry-optimized NdPuSi2 structure. The functional is PBE.

a = 3.8652 Å, b = 5.9012 Å, c = 5.9012 Å
α = 43.28°, β = 90.00°, γ = 90.00°
With the nearest neighbours (Å) after each atom.
Fractional positions:
Nd 0.0000 0.0000 0.0000  7 Si 3.04-3.22
Pu 0.5000 0.2897 0.2897  7 Si 3.02-3.18
Si 0.0000 0.7164 0.7164  2 Si 2.45
Si 0.5000 0.5787 0.5787  2 Si 2.45

Run x
This record from Alexandria describes a geometry-optimized NdPuSi2 structure. The functional is PBE.

a = 5.4385 Å, b = 5.4385 Å, c = 5.4385 Å
α = 52.13°, β = 52.13°, γ = 52.13°
With the nearest neighbours (Å) after each atom.
Fractional positions:
Nd 0.0000 0.0000 0.0000  8 Si 3.05-3.39
Pu 0.5000 0.5000 0.5000  6 Si 2.95
Si 0.2409 0.2409 0.2409  3 Pu 2.95, 3 Nd 3.05
Si 0.7591 0.7591 0.7591  3 Pu 2.95, 3 Nd 3.05

Run y
This record from Alexandria describes a geometry-optimized NdPuSi2 structure. The functional is PBE.

a = 3.8690 Å, b = 5.8501 Å, c = 8.1665 Å
α = 90.00°, β = 90.00°, γ = 90.00°
With the nearest neighbours (Å) after each atom.
Fractional positions:
Nd 0.0000 0.1398 0.0000  7 Si 3.05-3.24
Nd 0.0000 0.8602 0.5000  7 Si 3.05-3.24
Pu 0.5000 0.3605 0.3582  7 Si 3.02-3.19
Pu 0.5000 0.6395 0.8582  7 Si 3.02-3.19
Si 0.0000 0.3755 0.6457  2 Si 2.45
Si 0.0000 0.6245 0.1457  2 Si 2.45
Si 0.5000 0.1340 0.7112  2 Si 2.45
Si 0.5000 0.8660 0.2112  2 Si 2.45

Verdict on stability: run w comes out on top.

* * * * *

Entry 1:
The following is a GGA-PBE calculation of a geometry-optimized Ir2W structure, from Alexandria via LeMat-Bulk.
~~~
• Written answer:
This record from the Alexandria database describes SiNi2PtO6 after structural relaxation. The functional is GGA+U.

The structure in extended XYZ format:
```
10
Lattice="5.197 0.000 0.000 0.000 5.197 0.000 0.000 0.000 4.264" Properties=species:S:1:pos:R:3 pbc="T T T"
Si 0.000 0.000 0.000
Ni 0.000 2.599 1.557
Ni 2.599 0.000 1.557
Pt 2.599 2.599 0.258
O 0.000 0.000 2.666
O 1.194 1.194 0.604
O 1.194 4.003 0.604
O 2.599 2.599 2.439
O 4.003 1.194 0.604
O 4.003 4.003 0.604
```

Computed properties:
The total DFT energy (no corrections) is -5.464 eV per atom. The space group is No. 99.

* * * * *

Run w
This record from Alexandria describes a geometry-optimized NdPu2Si2 structure. The functional is PBE.

a = 5.4672 Å, b = 3.5714 Å, c = 11.8575 Å
α = 90.00°, β = 103.07°, γ = 90.00°
With the nearest neighbours (Å) after each atom.
Fractional positions:
Nd 0.0057 0.2500 0.2605  6 Si 2.99-3.33
Nd 0.9943 0.7500 0.7395  6 Si 2.99-3.33
Pu 0.3706 0.7500 0.5096  2 Pu 2.32
Pu 0.4522 0.7500 0.0544  2 Pu 2.33
Pu 0.5478 0.2500 0.9456  2 Pu 2.33
Pu 0.6294 0.2500 0.4904  2 Pu 2.32
Si 0.0594 0.2500 0.9469  2 Si 2.36
Si 0.4857 0.2500 0.7041  4 Pu 2.81-2.87
Si 0.5143 0.7500 0.2959  4 Pu 2.81-2.87
Si 0.9406 0.7500 0.0531  2 Si 2.36

Run x
This record from Alexandria describes a geometry-optimized NdPu2Si2 structure. The functional is PBE.

a = 6.9602 Å, b = 6.9602 Å, c = 8.1849 Å
α = 90.00°, β = 90.00°, γ = 142.66°
With the nearest neighbours (Å) after each atom.
Fractional positions:
Nd 0.0825 0.9175 0.5000  6 Si 3.18-3.38, 2 Pu 3.52-3.56
Nd 0.9175 0.0825 0.0000  6 Si 3.18-3.38, 2 Pu 3.52-3.56
Pu 0.1799 0.8201 0.1001  5 Si 2.81-3.02, 2 Pu 2.89
Pu 0.3531 0.6469 0.3815  4 Si 2.87-2.96, 2 Pu 2.89
Pu 0.6469 0.3531 0.8815  4 Si 2.87-2.96, 2 Pu 2.89
Pu 0.8201 0.1799 0.6001  5 Si 2.81-3.02, 2 Pu 2.89
Si 0.2858 0.7142 0.8012  1 Si 2.47
Si 0.4617 0.5383 0.6978  1 Si 2.47
Si 0.5383 0.4617 0.1978  1 Si 2.47
Si 0.7142 0.2858 0.3012  1 Si 2.47

Verdict on stability: run x comes out on top.

Run w
This record from Alexandria describes a geometry-optimized NdPuSi2 structure. The functional is PBE.

a = 3.8652 Å, b = 5.9012 Å, c = 5.9012 Å
α = 43.28°, β = 90.00°, γ = 90.00°
With the nearest neighbours (Å) after each atom.
Fractional positions:
Nd 0.0000 0.0000 0.0000  7 Si 3.04-3.22
Pu 0.5000 0.2897 0.2897  7 Si 3.02-3.18
Si 0.0000 0.7164 0.7164  2 Si 2.45
Si 0.5000 0.5787 0.5787  2 Si 2.45

Run x
This record from Alexandria describes a geometry-optimized NdPuSi2 structure. The functional is PBE.

a = 5.4385 Å, b = 5.4385 Å, c = 5.4385 Å
α = 52.13°, β = 52.13°, γ = 52.13°
With the nearest neighbours (Å) after each atom.
Fractional positions:
Nd 0.0000 0.0000 0.0000  8 Si 3.05-3.39
Pu 0.5000 0.5000 0.5000  6 Si 2.95
Si 0.2409 0.2409 0.2409  3 Pu 2.95, 3 Nd 3.05
Si 0.7591 0.7591 0.7591  3 Pu 2.95, 3 Nd 3.05

Run y
This record from Alexandria describes a geometry-optimized NdPuSi2 structure. The functional is PBE.

a = 3.8690 Å, b = 5.8501 Å, c = 8.1665 Å
α = 90.00°, β = 90.00°, γ = 90.00°
With the nearest neighbours (Å) after each atom.
Fractional positions:
Nd 0.0000 0.1398 0.0000  7 Si 3.05-3.24
Nd 0.0000 0.8602 0.5000  7 Si 3.05-3.24
Pu 0.5000 0.3605 0.3582  7 Si 3.02-3.19
Pu 0.5000 0.6395 0.8582  7 Si 3.02-3.19
Si 0.0000 0.3755 0.6457  2 Si 2.45
Si 0.0000 0.6245 0.1457  2 Si 2.45
Si 0.5000 0.1340 0.7112  2 Si 2.45
Si 0.5000 0.8660 0.2112  2 Si 2.45

Verdict on stability: run w comes out on top.

* * * * *

Entry 1:
The following is a GGA-PBE calculation of a geometry-optimized Ir2W structure, from Alexandria via LeMat-Bulk.